Excerpt:
<<<
Pm2ZrCuSe5: computed powder diffraction line list (copper Kα), based on a DFT-relaxed cell (PBE, Alexandria).
Kinematic intensities with the Lorentz-polarization factor, no thermal factor.

Principal peaks in the range 2θ from 10° to 90°, sorted by position:
24.38°, intensity 19.9; 31.64°, intensity 35.7; 32.13°, intensity 100.0; 34.23°, intensity 19.1; 37.43°, intensity 51.3; 45.78°, intensity 27.7

Atomic structure:
```
18
Lattice="1.9818 -8.7273 0.0000 1.9818 8.7273 0.0000 0.0000 0.0000 12.0596" Properties=species:S:1:pos:R:3 pbc="T T T"
Pm 1.9818 6.7298 6.0298
Pm 1.9818 6.5377 1.5064
Pm 1.9818 -6.5377 7.5362
Pm 1.9818 -6.7298 0.0000
Zr 1.9818 5.4752 9.9175
Zr 1.9818 -5.4752 3.8877
Cu 1.9818 1.1675 2.9954
Cu 1.9818 -1.1675 9.0252
Se 1.9818 8.0259 10.3255
Se 1.9818 3.6494 5.7912
Se 1.9818 3.3838 1.9395
Se 1.9818 2.6323 9.8261
Se 1.9818 0.0662 6.9655
Se 1.9818 -0.0662 0.9357
Se 1.9818 -2.6323 3.7963
Se 1.9818 -3.3838 7.9693
Se 1.9818 -3.6494 11.8210
Se 1.9818 -8.0259 4.2957
```

Pm3Cu4Si2: computed powder diffraction line list (copper Kα), based on a DFT-relaxed cell (PBE, Alexandria).
Kinematic intensities with the Lorentz-polarization factor, no thermal factor.

Principal peaks in the range 2θ from 10° to 90°, sorted by position:
24.34°, intensity 22.5; 33.58°, intensity 49.6; 33.87°, intensity 100.0; 42.36°, intensity 42.7; 55.69°, intensity 22.9; 65.44°, intensity 22.6

Atomic structure:
```
9
Lattice="5.3424 -2.1004 0.0000 5.3424 2.1004 0.0000 -2.4179 0.0000 8.0011" Properties=species:S:1:pos:R:3 pbc="T T T"
Pm 0.0000 0.0000 0.0000
Pm 2.7632 0.0000 2.6829
Pm 5.5037 0.0000 5.3183
Cu -0.3216 0.0000 3.0917
Cu 0.7529 0.0000 7.5236
Cu 7.5140 0.0000 0.4776
Cu 8.5884 0.0000 4.9094
Si 2.4374 0.0000 5.7683
Si 5.8295 0.0000 2.2328
```

PmCu2Si2: computed powder diffraction line list (copper Kα), based on a DFT-relaxed cell (PBE, Alexandria).
Kinematic intensities with the Lorentz-polarization factor, no thermal factor.

Principal peaks in the range 2θ from 10° to 90°, sorted by position:
23.67°, intensity 32.8; 34.92°, intensity 38.3; 36.12°, intensity 100.0; 44.65°, intensity 33.0; 51.11°, intensity 22.8; 64.94°, intensity 23.8

Atomic structure:
```
5
Lattice="-2.0297 2.0297 4.9780 2.0297 -2.0297 4.9780 2.0297 2.0297 -4.9780" Properties=species:S:1:pos:R:3 pbc="T T T"
Pm 0.0000 0.0000 0.0000
Cu 2.0297 0.0000 2.4890
Cu 0.0000 2.0297 2.4890
Si 0.0000 0.0000 3.7778
Si 0.0000 0.0000 6.1783
```

PmCu5Si2: computed powder diffraction line list (copper Kα), based on a DFT-relaxed cell (PBE, Alexandria).
Kinematic intensities with the Lorentz-polarization factor, no thermal factor.

Principal peaks in the range 2θ from 10° to 90°, sorted by position:
33.00°, intensity 27.0; 36.55°, intensity 100.0; 37.26°, intensity 99.3; 46.37°, intensity 36.1; 47.94°, intensity 41.0; 68.91°, intensity 24.9

Atomic structure:
```
8
Lattice="-1.9580 3.3641 4.5959 1.9580 -3.3641 4.5959 1.9580 3.3641 -4.5959" Properties=species:S:1:pos:R:3 pbc="T T T"
Pm 0.0000 0.0000 0.0000
Cu 1.9580 2.1339 -1.3528
Cu 1.9580 2.1339 1.3528
Cu 0.0000 3.3641 0.0000
Cu 0.0000 1.2302 3.2432
Cu 0.0000 1.2302 5.9487
Si 1.9580 0.0000 2.3057
Si 0.0000 3.3641 2.2902
```

Pm3CuSi3: computed powder diffraction line list (copper Kα), based on a DFT-relaxed cell (PBE, Alexandria).
Kinematic intensities with the Lorentz-polarization factor, no thermal factor.

Principal peaks in the range 2θ from 10° to 90°, sorted by position:
26.78°, intensity 52.5; 32.13°, intensity 100.0; 32.34°, intensity 60.1; 41.95°, intensity 23.7; 50.47°, intensity 20.7; 56.85°, intensity 23.8

Atomic structure:
```
7
Lattice="-1.9970 2.1538 9.0341 1.9970 -2.1538 9.0341 1.9970 2.1538 -9.0341" Properties=species:S:1:pos:R:3 pbc="T T T"
Pm 0.0000 0.0000 0.0000
Pm 1.9970 0.0000 3.3567
Pm 0.0000 0.0000 6.6394
Cu 0.0000 2.1538 2.1145
Si 0.0000 0.0000 9.8674
Si 0.0000 2.1538 4.4143
Si 0.0000 0.0000 14.9013
```
>>>

Assignment:
Now search the contents further above for the word "Pm2ZrCuSe5" and duplicate each line that has it.

Outcome:
Pm2ZrCuSe5: computed powder diffraction line list (copper Kα), based on a DFT-relaxed cell (PBE, Alexandria).